What to do:
Find the line below that holds "5.012, 5.012,", then transcribe that line and all lines after it there, please.

Contents:
Record 1
Compound: Pa3MoC
Source: OQMD via LeMat-Bulk
Functional: GGA-PBE
Structure: relaxed

Cell lengths 4.731, 4.731, 4.731 Å; angles 90.00, 90.00, 90.00 degrees
Fractional positions:
C (0.000, 0.000, 0.000)
Mo (0.500, 0.500, 0.500)
Pa (0.500, 0.000, 0.000)
Pa (0.000, 0.500, 0.000)
Pa (0.000, 0.000, 0.500)

Properties
calculated volume: 21.174 Å³/atom
raw total energy: -9.567 eV/atom
theoretical density: 12.6 Mg/m³
SG: Pm-3m (221)

---

Record 2
Compound: RbHfO2F
Source: OQMD via LeMat-Bulk
Functional: GGA-PBE
Structure: relaxed

Cell lengths 4.093, 4.093, 4.272 Å; angles 90.00, 90.00, 90.00 degrees
Fractional positions:
F (0.000, 0.000, 0.000)
Hf (0.000, 0.000, 0.500)
O (0.500, 0.000, 0.500)
O (0.000, 0.500, 0.500)
Rb (0.500, 0.500, 0.000)

Properties
calculated volume: 14.310 Å³/atom
raw total energy: -7.565 eV/atom
theoretical density: 7.3 Mg/m³
SG: P4/mmm (123)

---

Record 3
Compound: ZrCdAsO
Source: OQMD via LeMat-Bulk
Functional: GGA-PBE
Structure: relaxed

Cell lengths 4.117, 6.869, 5.607 Å; angles 90.00, 90.00, 90.00 degrees
Fractional positions:
As (0.000, 0.278, 0.397)
As (0.000, 0.722, 0.897)
Cd (0.500, 0.928, 0.034)
Cd (0.500, 0.072, 0.534)
O (0.500, 0.722, 0.416)
O (0.500, 0.278, 0.916)
Zr (0.000, 0.670, 0.406)
Zr (0.000, 0.330, 0.906)

Properties
calculated volume: 19.823 Å³/atom
relative energy among the computed polymorphs: 9.6 kJ/mol of atoms
theoretical density: 6.2 Mg/m³
SG: Pmc2_1 (26)

---

Record 4
Compound: PmGdZn
Source: OQMD via LeMat-Bulk
Functional: GGA-PBE
Structure: relaxed

Cell lengths 5.012, 5.012, 5.012 Å; angles 60.00, 60.00, 60.00 degrees
Fractional positions:
Gd (0.250, 0.250, 0.250)
Pm (0.750, 0.750, 0.750)
Zn (0.000, 0.000, 0.000)

Properties
E_form: 2.5 kJ per mole of atoms
calculated volume: 29.678 Å³/atom
relative energy among the computed polymorphs: 0.0 kJ/mol of atoms
theoretical density: 6.9 Mg/m³
SG: F-43m (216)

---

Record 5
Compound: HfTl2C
Source: OQMD via LeMat-Bulk
Functional: GGA-PBE
Structure: relaxed

Cell lengths 3.342, 3.342, 16.364 Å; angles 90.00, 90.00, 120.00 degrees
Fractional positions:
C (0.000, 0.000, 0.000)
C (0.000, 0.000, 0.500)
Hf (0.667, 0.333, 0.250)
Hf (0.333, 0.667, 0.750)
Tl (0.333, 0.667, 0.096)
Tl (0.333, 0.667, 0.404)
Tl (0.667, 0.333, 0.596)
Tl (0.667, 0.333, 0.904)

Properties
calculated volume: 19.786 Å³/atom
raw total energy: -4.793 eV/atom
theoretical density: 12.6 Mg/m³
SG: P6_3/mmc (194)

---

Record 6
Compound: Li2PrP2Pd
Source: OQMD via LeMat-Bulk
Functional: GGA-PBE
Structure: relaxed

Cell lengths 4.141, 4.141, 6.666 Å; angles 90.00, 90.00, 120.00 degrees
Fractional positions:
Li (0.333, 0.667, 0.356)
Li (0.667, 0.333, 0.644)
P (0.667, 0.333, 0.267)
P (0.333, 0.667, 0.733)
Pd (0.000, 0.000, 0.500)
Pr (0.000, 0.000, 0.000)

Properties
calculated volume: 16.500 Å³/atom
raw total energy: -4.928 eV/atom
theoretical density: 5.4 Mg/m³
SG: P-3m1 (164)

---

Record 7
Compound: Be2Fe3Si2
Source: OQMD via LeMat-Bulk
Functional: GGA-PBE
Structure: relaxed

Cell lengths 6.312, 6.312, 6.312 Å; angles 35.18, 35.18, 35.18 degrees
Each line ends with the local moment (μB).
Fractional positions:
Be (0.242, 0.242, 0.242)  -0.03
Be (0.771, 0.771, 0.771)  -0.03
Fe (0.112, 0.112, 0.112)  0.72
Fe (0.377, 0.377, 0.377)  2.01
Fe (0.635, 0.635, 0.635)  0.16
Si (0.509, 0.509, 0.509)  -0.03
Si (0.978, 0.978, 0.978)  -0.01

Properties
calculated volume: 10.651 Å³/atom
raw total energy: -6.423 eV/atom
theoretical density: 5.4 Mg/m³
SG: R3m (160)

---

Record 8
Compound: TmZnPbS3
Source: OQMD via LeMat-Bulk
Functional: GGA-PBE
Structure: relaxed

Cell lengths 7.405, 7.405, 10.359 Å; angles 90.00, 90.00, 150.27 degrees
Fractional positions:
Pb (0.741, 0.259, 0.250)
Pb (0.259, 0.741, 0.750)
S (0.370, 0.630, 0.046)
S (0.050, 0.950, 0.250)
S (0.370, 0.630, 0.454)
S (0.630, 0.370, 0.546)
S (0.950, 0.050, 0.750)
S (0.630, 0.370, 0.954)
Tm (0.000, 0.000, 0.000)
Tm (0.000, 0.000, 0.500)
Zn (0.443, 0.557, 0.250)
Zn (0.557, 0.443, 0.750)

Properties

Solution:
Cell lengths 5.012, 5.012, 5.012 Å; angles 60.00, 60.00, 60.00 degrees
Fractional positions:
Gd (0.250, 0.250, 0.250)
Pm (0.750, 0.750, 0.750)
Zn (0.000, 0.000, 0.000)

Properties
E_form: 2.5 kJ per mole of atoms
calculated volume: 29.678 Å³/atom
relative energy among the computed polymorphs: 0.0 kJ/mol of atoms
theoretical density: 6.9 Mg/m³
SG: F-43m (216)

---

Record 5
Compound: HfTl2C
Source: OQMD via LeMat-Bulk
Functional: GGA-PBE
Structure: relaxed

Cell lengths 3.342, 3.342, 16.364 Å; angles 90.00, 90.00, 120.00 degrees
Fractional positions:
C (0.000, 0.000, 0.000)
C (0.000, 0.000, 0.500)
Hf (0.667, 0.333, 0.250)
Hf (0.333, 0.667, 0.750)
Tl (0.333, 0.667, 0.096)
Tl (0.333, 0.667, 0.404)
Tl (0.667, 0.333, 0.596)
Tl (0.667, 0.333, 0.904)

Properties
calculated volume: 19.786 Å³/atom
raw total energy: -4.793 eV/atom
theoretical density: 12.6 Mg/m³
SG: P6_3/mmc (194)

---

Record 6
Compound: Li2PrP2Pd
Source: OQMD via LeMat-Bulk
Functional: GGA-PBE
Structure: relaxed

Cell lengths 4.141, 4.141, 6.666 Å; angles 90.00, 90.00, 120.00 degrees
Fractional positions:
Li (0.333, 0.667, 0.356)
Li (0.667, 0.333, 0.644)
P (0.667, 0.333, 0.267)
P (0.333, 0.667, 0.733)
Pd (0.000, 0.000, 0.500)
Pr (0.000, 0.000, 0.000)

Properties
calculated volume: 16.500 Å³/atom
raw total energy: -4.928 eV/atom
theoretical density: 5.4 Mg/m³
SG: P-3m1 (164)

---

Record 7
Compound: Be2Fe3Si2
Source: OQMD via LeMat-Bulk
Functional: GGA-PBE
Structure: relaxed

Cell lengths 6.312, 6.312, 6.312 Å; angles 35.18, 35.18, 35.18 degrees
Each line ends with the local moment (μB).
Fractional positions:
Be (0.242, 0.242, 0.242)  -0.03
Be (0.771, 0.771, 0.771)  -0.03
Fe (0.112, 0.112, 0.112)  0.72
Fe (0.377, 0.377, 0.377)  2.01
Fe (0.635, 0.635, 0.635)  0.16
Si (0.509, 0.509, 0.509)  -0.03
Si (0.978, 0.978, 0.978)  -0.01

Properties
calculated volume: 10.651 Å³/atom
raw total energy: -6.423 eV/atom
theoretical density: 5.4 Mg/m³
SG: R3m (160)

---

Record 8
Compound: TmZnPbS3
Source: OQMD via LeMat-Bulk
Functional: GGA-PBE
Structure: relaxed

Cell lengths 7.405, 7.405, 10.359 Å; angles 90.00, 90.00, 150.27 degrees
Fractional positions:
Pb (0.741, 0.259, 0.250)
Pb (0.259, 0.741, 0.750)
S (0.370, 0.630, 0.046)
S (0.050, 0.950, 0.250)
S (0.370, 0.630, 0.454)
S (0.630, 0.370, 0.546)
S (0.950, 0.050, 0.750)
S (0.630, 0.370, 0.954)
Tm (0.000, 0.000, 0.000)
Tm (0.000, 0.000, 0.500)
Zn (0.443, 0.557, 0.250)
Zn (0.557, 0.443, 0.750)

Properties